Job:
Repeat the material further down from the first line to the one with "0.60 0.13" character by character.

File:
-- begin --
Record 1
Density functional theory data (ωB97M-V/def2-TZVPD) for one molecule with the formula C6H10N2O2 in a non-equilibrium geometry.

CARTESIAN COORDINATES (ANGSTROEM)
1 H -4.06 0.30 0.36
2 N -3.15 0.10 -0.16
3 N -2.26 0.15 0.69
4 C -0.88 -0.09 0.06
5 O -0.99 -0.47 -1.26
6 C -0.21 1.26 0.14
7 C 1.34 1.19 0.08
8 C 1.69 -0.07 -0.65
9 C 1.44 -1.28 0.32
10 O 0.48 -2.16 -0.10
11 C 0.03 -1.20 0.71
12 H -1.21 -1.38 -1.36
13 H -0.63 2.04 -0.56
14 H -0.50 1.60 1.19
15 H 1.72 2.03 -0.59
16 H 1.66 1.24 1.08
17 H 0.97 -0.10 -1.43
18 H 2.72 -0.01 -0.95
19 H 2.29 -1.59 0.84
20 H -0.44 -1.56 1.62

Output
structure (SMILES) = [H]/N=N/[C@@]1(O)CCC[C@@H]2O[C@@H]21
LUMO energy = 1.021 eV
E_tot = -494.48124 a.u.
ΔE to the lowest compared entry with this formula, charge and spin = 102.0 kcal/mol
net charge = 0
maximum force = 4.95 eV Å⁻¹
frontier orbital gap = 10.25 eV
HOMO = -9.2303 eV

Results of the Löwdin charge analysis, in e, for atoms 1 through 2: H 0.091; N 0.076



Record 2
Density functional theory data (ωB97M-V/def2-TZVPD) for one molecule with the formula C6H10N2O2 in a non-equilibrium geometry.

CARTESIAN COORDINATES (ANGSTROEM)
1 C 1.91 -0.11 -0.55
2 C 0.60 0.13 0.14
3 C 0.53 1.55 0.79
4 N 0.18 -1.02 0.95
5 C -1.07 -1.47 0.44
6 N -0.80 -1.36 -0.94
7 C -0.57 0.10 -0.91
8 C -1.82 0.61 -0.19
9 O -2.44 1.58 -0.33
10 O -2.18 -0.35 0.66
11 H 2.10 -0.11 -1.70
12 H 2.20 -1.21 -0.31
13 H 2.78 0.40 -0.14
14 H 1.52 1.53 1.41
15 H -0.17 1.68 1.49
16 H 0.52 2.17 -0.06
17 H 0.18 -0.72 2.01
18 H -1.35 -2.45 0.75
19 H -1.60 -1.45 -1.60
20 H -0.49 0.51 -1.91

Output
structure (SMILES) = CC1(C)N[C@@H]2N[C@H]1C(=O)O2
LUMO energy = 0.837 eV
E_tot = -494.56733 a.u.
ΔE to the lowest compared entry with this formula, charge and spin = 47.9 kcal/mol
net charge = 0
maximum force = 6.37 eV Å⁻¹
frontier orbital gap = 10.30 eV
HOMO = -9.4583 eV

Results of the Löwdin charge analysis, in e, for atoms 1 through 2: C -0.057; C -0.507

~~~~~

A molecular structure, C32H32BN11O2W at a distorted geometry, computed with ωB97M-V/def2-TZVPD.

Last column: Mulliken charge in e.
Element x y z (Å)
W1 -1.256 0.719 0.829  1.03
C1 2.048 -1.062 1.875  -1.15
C2 1.332 0.076 2.508  0.58
C3 1.800 1.072 3.341  -1.31
C4 0.706 1.882 3.623  -0.09
N1 -0.379 1.382 3.039  1.22
N2 -0.009 0.232 2.329  -0.61
B1 -1.901 2.068 3.226  -0.22
N3 -2.892 0.894 3.116  0.67
C5 -3.958 0.599 3.865  0.04
C6 -4.617 -0.473 3.293  -1.50
C7 -3.901 -0.797 2.151  0.79
C8 -4.202 -1.877 1.173  -1.51
N4 -2.841 0.037 2.038  -0.51
N5 -2.088 3.014 1.981  1.04
C9 -1.998 4.335 1.854  0.23
C10 -2.170 4.679 0.516  -1.38
C11 -2.325 3.498 -0.167  0.68
C12 -2.530 3.246 -1.618  -1.19
N6 -2.307 2.452 0.713  -0.75
N7 -1.922 2.732 4.533  0.60
C13 -1.802 2.121 5.755  -0.48
C14 -1.805 3.097 6.702  -1.17
C15 -1.925 4.318 5.982  0.64
C16 -1.994 5.702 6.534  -1.25
N8 -1.987 4.091 4.686  -0.97
H1 3.082 -0.794 1.667  0.38
H2 1.558 -1.368 0.949  0.21
H3 2.054 -1.920 2.550  0.32
H4 2.808 1.201 3.700  0.52
H5 0.638 2.769 4.236  0.55
H6 -4.184 1.170 4.752  0.59
H7 -5.508 -0.955 3.657  0.52
H8 -5.154 -2.338 1.423  0.46
H9 -3.443 -2.661 1.207  0.34
H10 -4.286 -1.485 0.158  0.39
H11 -1.848 4.935 2.738  0.69
H12 -2.178 5.675 0.106  0.53
H13 -1.920 3.923 -2.213  0.38
H14 -3.574 3.418 -1.885  0.33
H15 -2.282 2.216 -1.880  0.15
H16 -1.718 1.049 5.848  0.61
H17 -1.735 2.974 7.770  0.46
H18 -1.769 5.703 7.598  0.38
H19 -2.992 6.118 6.398  0.29
H20 -1.287 6.359 6.029  0.33
C17 5.355 -7.079 -6.750  -0.84
O1 5.511 -6.066 -5.717  -0.34
C18 4.696 -5.072 -5.619  0.88
C19 5.004 -4.147 -4.562  -0.88
C20 4.233 -3.059 -4.375  -0.26
C21 3.096 -2.841 -5.232  0.43
C22 2.808 -3.767 -6.291  -0.44
C23 3.581 -4.864 -6.479  -0.33
N9 2.298 -1.804 -5.154  -0.82
N10 2.464 -0.825 -4.358  -0.07
C24 1.947 -0.309 -3.290  0.27
C25 2.474 0.975 -2.859  -0.62
C26 1.950 1.652 -1.814  -1.22
C27 0.842 1.097 -1.105  1.15
O2 0.246 1.672 -0.095  -0.57
C28 0.283 -0.117 -1.494  0.34
N11 -0.809 -0.500 -0.734  0.12
C29 -1.411 -1.680 -1.084  -0.15
C30 -0.963 -2.456 -2.109  -0.98
-- stop --

Outcome:
Record 1
Density functional theory data (ωB97M-V/def2-TZVPD) for one molecule with the formula C6H10N2O2 in a non-equilibrium geometry.

CARTESIAN COORDINATES (ANGSTROEM)
1 H -4.06 0.30 0.36
2 N -3.15 0.10 -0.16
3 N -2.26 0.15 0.69
4 C -0.88 -0.09 0.06
5 O -0.99 -0.47 -1.26
6 C -0.21 1.26 0.14
7 C 1.34 1.19 0.08
8 C 1.69 -0.07 -0.65
9 C 1.44 -1.28 0.32
10 O 0.48 -2.16 -0.10
11 C 0.03 -1.20 0.71
12 H -1.21 -1.38 -1.36
13 H -0.63 2.04 -0.56
14 H -0.50 1.60 1.19
15 H 1.72 2.03 -0.59
16 H 1.66 1.24 1.08
17 H 0.97 -0.10 -1.43
18 H 2.72 -0.01 -0.95
19 H 2.29 -1.59 0.84
20 H -0.44 -1.56 1.62

Output
structure (SMILES) = [H]/N=N/[C@@]1(O)CCC[C@@H]2O[C@@H]21
LUMO energy = 1.021 eV
E_tot = -494.48124 a.u.
ΔE to the lowest compared entry with this formula, charge and spin = 102.0 kcal/mol
net charge = 0
maximum force = 4.95 eV Å⁻¹
frontier orbital gap = 10.25 eV
HOMO = -9.2303 eV

Results of the Löwdin charge analysis, in e, for atoms 1 through 2: H 0.091; N 0.076



Record 2
Density functional theory data (ωB97M-V/def2-TZVPD) for one molecule with the formula C6H10N2O2 in a non-equilibrium geometry.

CARTESIAN COORDINATES (ANGSTROEM)
1 C 1.91 -0.11 -0.55
2 C 0.60 0.13 0.14